Your job: restate the whole of the entries below word for word.
........
# 1
Computed powder X-ray diffraction pattern
Compound: K3Ga3As4
Radiation: Cu Kα X-rays
Structure: a DFT-relaxed cell (PBE, the Materials Project)

Atomic structure:
Unit cell a=6.728 b=15.192 c=10.832 alpha=90.00 beta=90.00 gamma=90.00
Space group Pnna (No. 52)
Unique sites:
K1 0.060 0.095 0.121 x8
K2 0.250 0.000 0.579 x4
Ga1 0.098 0.717 0.111 x8
Ga2 0.192 0.750 0.750 x4
As1 0.040 0.137 0.806 x8
As2 0.041 0.176 0.405 x8

Principal peaks in the range 15 to 90 degrees two-theta, sorted by position:
- 3.364 Å, 26.5°, I 62.5
- 3.241 Å, 27.5°, I 50.7
- 2.935 Å, 30.5°, I 83.0
- 2.925 Å, 30.6°, I 100.0
- 2.802 Å, 31.9°, I 56.2
- 2.710 Å, 33.1°, I 51.7
- 2.694 Å, 33.3°, I 55.9
- 2.518 Å, 35.7°, I 52.7
- 2.197 Å, 41.1°, I 64.7
- 1.732 Å, 52.9°, I 46.6



# 2
Computed powder X-ray diffraction pattern
Compound: AuN
Radiation: Cu Kα X-rays
Structure: a DFT-relaxed cell (PBE, the Materials Project)

Atomic structure:
Unit cell a=4.670 b=4.670 c=4.670 alpha=90.00 beta=90.00 gamma=90.00
Space group Fm-3m (No. 225)
Unique sites:
Au1 0.000 0.000 0.000 x4
N1 0.000 0.000 0.500 x4

Principal peaks in the range 15 to 90 degrees two-theta, sorted by position:
- 2.696 Å, 33.2°, I 100.0
- 2.335 Å, 38.6°, I 66.3
- 1.651 Å, 55.7°, I 45.2
- 1.408 Å, 66.4°, I 43.8
- 1.348 Å, 69.8°, I 15.4
- 1.167 Å, 82.7°, I 7.5



# 3
Computed powder X-ray diffraction pattern
Compound: LiLuF2
Radiation: Cu Kα X-rays
Structure: a DFT-relaxed cell (PBE, the Materials Project)

Atomic structure:
Unit cell a=6.374 b=6.374 c=12.498 alpha=90.00 beta=90.00 gamma=90.00
Space group I4_1/amd (No. 141, origin choice 2)
Unique sites:
Li1 0.000 0.000 0.000 x8
Lu1 0.000 0.000 0.500 x8
F1 0.000 0.020 0.316 x16

Principal peaks in the range 15 to 90 degrees two-theta, sorted by position:
- 5.678 Å, 15.6°, I 100.0
- 3.487 Å, 25.5°, I 14.8
- 3.124 Å, 28.6°, I 20.3
- 2.839 Å, 31.5°, I 47.1
- 2.779 Å, 32.2°, I 31.2
- 2.254 Å, 40.0°, I 25.2
- 1.879 Å, 48.4°, I 12.7
- 1.828 Å, 49.9°, I 17.8
- 1.744 Å, 52.5°, I 21.0
- 1.390 Å, 67.4°, I 11.9



# 4
Computed powder X-ray diffraction pattern
Compound: CrCoSi
Radiation: Cu Kα X-rays
Structure: a DFT-relaxed cell (PBE, the Materials Project)

Atomic structure:
Unit cell a=5.756 b=3.601 c=6.717 alpha=90.00 beta=90.00 gamma=90.00
Space group Pnma (No. 62)
Unique sites:
Cr1 0.026 0.250 0.178 x4
Co1 0.146 0.250 0.558 x4
Si1 0.239 0.750 0.375 x4

Principal peaks in the range 15 to 90 degrees two-theta, sorted by position:
- 2.779 Å, 32.2°, I 18.9
- 2.259 Å, 39.9°, I 100.0
- 2.248 Å, 40.1°, I 56.9
- 2.132 Å, 42.4°, I 89.7
- 2.087 Å, 43.4°, I 37.9
- 1.901 Å, 47.8°, I 46.3
- 1.845 Å, 49.4°, I 33.5
- 1.805 Å, 50.6°, I 27.1
- 1.800 Å, 50.7°, I 52.4
- 1.192 Å, 80.6°, I 23.9



# 5
Computed powder X-ray diffraction pattern
Compound: BaO
Radiation: Cu Kα X-rays
Structure: a DFT-relaxed cell (PBE, the Materials Project)

Atomic structure:
Unit cell a=3.8494 b=3.8494 c=6.6950 alpha=90.00 beta=90.00 gamma=120.00
Space group P6_3/mmc (No. 194)
Unique sites:
Ba1 0.3333 0.6667 0.2500 x2
O1 0.0000 0.0000 0.0000 x2

Principal peaks in the range 15 to 90 degrees two-theta, sorted by position:
- 3.348 Å, 26.6°, I 22.5
- 3.334 Å, 26.7°, I 11.9
- 2.984 Å, 29.9°, I 100.0
- 2.362 Å, 38.1°, I 27.0
- 1.925 Å, 47.2°, I 23.1
- 1.854 Å, 49.1°, I 24.8
- 1.668 Å, 55.0°, I 20.7
- 1.617 Å, 56.9°, I 16.0
- 1.263 Å, 75.2°, I 11.3
- 1.238 Å, 77.0°, I 13.4



# 6
Computed powder X-ray diffraction pattern
Compound: MgTe2Mo2W2Se4S2
Radiation: Cu Kα X-rays
Structure: a DFT-relaxed cell (PBE, the Materials Project)

Atomic structure:
Unit cell a=3.3369 b=3.3369 c=46.7386 alpha=90.00 beta=90.00 gamma=120.00
Space group P3m1 (No. 156)
Unique sites:
Mg1 0.0000 0.0000 0.0000 x1
Te1 0.3333 0.6667 0.0658 x1
Te2 0.3333 0.6667 0.1479 x1
Mo1 0.3333 0.6667 0.5362 x1
Mo2 0.6667 0.3333 0.7241 x1
W1 0.3333 0.6667 0.9027 x1
W2 0.6667 0.3333 0.1070 x1
Se1 0.3333 0.6667 0.6884 x1
Se2 0.3333 0.6667 0.7598 x1
Se3 0.6667 0.3333 0.5005 x1
Se4 0.6667 0.3333 0.5719 x1
S1 0.6667 0.3333 0.8702 x1
........
# 1
Computed powder X-ray diffraction pattern
Compound: K3Ga3As4
Radiation: Cu Kα X-rays
Structure: a DFT-relaxed cell (PBE, the Materials Project)

Atomic structure:
Unit cell a=6.728 b=15.192 c=10.832 alpha=90.00 beta=90.00 gamma=90.00
Space group Pnna (No. 52)
Unique sites:
K1 0.060 0.095 0.121 x8
K2 0.250 0.000 0.579 x4
Ga1 0.098 0.717 0.111 x8
Ga2 0.192 0.750 0.750 x4
As1 0.040 0.137 0.806 x8
As2 0.041 0.176 0.405 x8

Principal peaks in the range 15 to 90 degrees two-theta, sorted by position:
- 3.364 Å, 26.5°, I 62.5
- 3.241 Å, 27.5°, I 50.7
- 2.935 Å, 30.5°, I 83.0
- 2.925 Å, 30.6°, I 100.0
- 2.802 Å, 31.9°, I 56.2
- 2.710 Å, 33.1°, I 51.7
- 2.694 Å, 33.3°, I 55.9
- 2.518 Å, 35.7°, I 52.7
- 2.197 Å, 41.1°, I 64.7
- 1.732 Å, 52.9°, I 46.6



# 2
Computed powder X-ray diffraction pattern
Compound: AuN
Radiation: Cu Kα X-rays
Structure: a DFT-relaxed cell (PBE, the Materials Project)

Atomic structure:
Unit cell a=4.670 b=4.670 c=4.670 alpha=90.00 beta=90.00 gamma=90.00
Space group Fm-3m (No. 225)
Unique sites:
Au1 0.000 0.000 0.000 x4
N1 0.000 0.000 0.500 x4

Principal peaks in the range 15 to 90 degrees two-theta, sorted by position:
- 2.696 Å, 33.2°, I 100.0
- 2.335 Å, 38.6°, I 66.3
- 1.651 Å, 55.7°, I 45.2
- 1.408 Å, 66.4°, I 43.8
- 1.348 Å, 69.8°, I 15.4
- 1.167 Å, 82.7°, I 7.5



# 3
Computed powder X-ray diffraction pattern
Compound: LiLuF2
Radiation: Cu Kα X-rays
Structure: a DFT-relaxed cell (PBE, the Materials Project)

Atomic structure:
Unit cell a=6.374 b=6.374 c=12.498 alpha=90.00 beta=90.00 gamma=90.00
Space group I4_1/amd (No. 141, origin choice 2)
Unique sites:
Li1 0.000 0.000 0.000 x8
Lu1 0.000 0.000 0.500 x8
F1 0.000 0.020 0.316 x16

Principal peaks in the range 15 to 90 degrees two-theta, sorted by position:
- 5.678 Å, 15.6°, I 100.0
- 3.487 Å, 25.5°, I 14.8
- 3.124 Å, 28.6°, I 20.3
- 2.839 Å, 31.5°, I 47.1
- 2.779 Å, 32.2°, I 31.2
- 2.254 Å, 40.0°, I 25.2
- 1.879 Å, 48.4°, I 12.7
- 1.828 Å, 49.9°, I 17.8
- 1.744 Å, 52.5°, I 21.0
- 1.390 Å, 67.4°, I 11.9



# 4
Computed powder X-ray diffraction pattern
Compound: CrCoSi
Radiation: Cu Kα X-rays
Structure: a DFT-relaxed cell (PBE, the Materials Project)

Atomic structure:
Unit cell a=5.756 b=3.601 c=6.717 alpha=90.00 beta=90.00 gamma=90.00
Space group Pnma (No. 62)
Unique sites:
Cr1 0.026 0.250 0.178 x4
Co1 0.146 0.250 0.558 x4
Si1 0.239 0.750 0.375 x4

Principal peaks in the range 15 to 90 degrees two-theta, sorted by position:
- 2.779 Å, 32.2°, I 18.9
- 2.259 Å, 39.9°, I 100.0
- 2.248 Å, 40.1°, I 56.9
- 2.132 Å, 42.4°, I 89.7
- 2.087 Å, 43.4°, I 37.9
- 1.901 Å, 47.8°, I 46.3
- 1.845 Å, 49.4°, I 33.5
- 1.805 Å, 50.6°, I 27.1
- 1.800 Å, 50.7°, I 52.4
- 1.192 Å, 80.6°, I 23.9



# 5
Computed powder X-ray diffraction pattern
Compound: BaO
Radiation: Cu Kα X-rays
Structure: a DFT-relaxed cell (PBE, the Materials Project)

Atomic structure:
Unit cell a=3.8494 b=3.8494 c=6.6950 alpha=90.00 beta=90.00 gamma=120.00
Space group P6_3/mmc (No. 194)
Unique sites:
Ba1 0.3333 0.6667 0.2500 x2
O1 0.0000 0.0000 0.0000 x2

Principal peaks in the range 15 to 90 degrees two-theta, sorted by position:
- 3.348 Å, 26.6°, I 22.5
- 3.334 Å, 26.7°, I 11.9
- 2.984 Å, 29.9°, I 100.0
- 2.362 Å, 38.1°, I 27.0
- 1.925 Å, 47.2°, I 23.1
- 1.854 Å, 49.1°, I 24.8
- 1.668 Å, 55.0°, I 20.7
- 1.617 Å, 56.9°, I 16.0
- 1.263 Å, 75.2°, I 11.3
- 1.238 Å, 77.0°, I 13.4



# 6
Computed powder X-ray diffraction pattern
Compound: MgTe2Mo2W2Se4S2
Radiation: Cu Kα X-rays
Structure: a DFT-relaxed cell (PBE, the Materials Project)

Atomic structure:
Unit cell a=3.3369 b=3.3369 c=46.7386 alpha=90.00 beta=90.00 gamma=120.00
Space group P3m1 (No. 156)
Unique sites:
Mg1 0.0000 0.0000 0.0000 x1
Te1 0.3333 0.6667 0.0658 x1
Te2 0.3333 0.6667 0.1479 x1
Mo1 0.3333 0.6667 0.5362 x1
Mo2 0.6667 0.3333 0.7241 x1
W1 0.3333 0.6667 0.9027 x1
W2 0.6667 0.3333 0.1070 x1
Se1 0.3333 0.6667 0.6884 x1
Se2 0.3333 0.6667 0.7598 x1
Se3 0.6667 0.3333 0.5005 x1
Se4 0.6667 0.3333 0.5719 x1
S1 0.6667 0.3333 0.8702 x1